Activity:
The reader should start at the top of the data further below and echo each line, ending with the one that has "3.097 3.133".

Excerpt:
'''
Entry 1:
The following is a PBE calculation of a relaxed NaSr2Zn crystal, from Alexandria.

```
4
Lattice="3.943 0.000 0.000 0.000 3.943 0.000 0.000 0.000 9.622" Properties=species:S:1:pos:R:3 pbc="T T T"
Sr 0.000 0.000 7.710
Sr 0.000 0.000 1.912
Zn 1.971 1.971 0.000
Na 1.971 1.971 4.811
```

- volume (Å³/f.u.) = 149.57
- calculated total energy (eV/atom) = -1.5850
- formation energy (eV per atom) = -0.10
- SG = No. 123

Entry 2:
The following is a PBE calculation of a relaxed Na2SrZn2 crystal, from Alexandria.

```
5
Lattice="-3.691 2.089 1.736 -1.829 0.254 -4.194 -5.795 -4.983 -0.277" Properties=species:S:1:pos:R:3 pbc="T T T"
Sr 0.000 0.000 0.000
Zn -3.314 0.047 -1.055
Zn -8.001 -2.688 -1.679
Na -6.123 -0.862 0.115
Na -5.192 -1.779 -2.850
```

- volume (Å³/f.u.) = 145.47
- calculated total energy (eV/atom) = -1.4081
- formation energy (eV per atom) = -0.03
- SG = No. 139

Entry 3:
The following is a PBE calculation of a relaxed NaSrZn crystal, from Alexandria.

```
6
Lattice="4.403 -0.024 0.015 2.180 3.812 0.008 -0.184 -0.035 13.462" Properties=species:S:1:pos:R:3 pbc="T T T"
Na 3.240 0.608 5.422
Na 3.159 3.145 8.064
Sr 5.316 1.848 11.313
Sr 1.083 1.905 2.172
Zn 3.301 0.620 0.027
Zn 3.097 3.133 13.459
```

- volume (Å³/f.u.) = 113.33
- calculated total energy (eV/atom) = -1.5200
- formation energy (eV per atom) = -0.10
- SG = No. 2

----------

(1)
{
  "formula": "AlCu2Ru",
  "functional": "PBE",
  "state": "optimized geometry",
  "lattice_angstrom": [[2.644, -0.037, 0.000], [-1.184, 2.364, 0.000], [0.000, 0.000, 8.671]],
  "species": ["Ru", "Cu", "Al", "Cu"],
  "frac_coords": [[0.500, 0.500, 0.250], [0.000, 0.000, 0.992], [0.500, 0.500, 0.750], [0.000, 0.000, 0.508]],
  "ef_kj_per_mol_fu": 59,
  "spacegroup": "Cmmm"
}

---

(2)
{
  "formula": "HgBiSe2N",
  "functional": "PBE",
  "state": "optimized geometry",
  "lattice_angstrom": [[5.438, 0.000, 0.000], [0.000, 5.438, 0.000], [0.000, 0.000, 4.117]],
  "species": ["Se", "Se", "N", "Hg", "Bi"],
  "frac_coords": [[0.000, 0.500, 0.000], [0.500, 0.000, 0.000], [0.000, 0.000, 0.500], [0.000, 0.000, 0.000], [0.500, 0.500, 0.500]],
  "raw_formation_energy_ev_per_fu": 4.9,
  "de_polymorph_mev_per_atom": 29,
  "spacegroup": "P4/mmm"
}

---

(3)
{
  "formula": "ErTm2Th3Bi6",
  "functional": "PBE",
  "state": "optimized geometry",
  "lattice_angstrom": [[-3.272, -3.112, 0.271], [1.383, -0.683, 8.876], [-5.162, 8.646, -0.791]],
  "species": ["Bi", "Bi", "Bi", "Th", "Tm", "Bi", "Bi", "Th", "Tm", "Er", "Th", "Bi"],
  "frac_coords": [[0.330, 0.424, 0.661], [0.003, 0.243, 0.007], [0.997, 0.757, 0.993], [0.834, 0.167, 0.668], [0.833, 0.667, 0.667], [0.664, 0.091, 0.328], [0.336, 0.909, 0.672], [0.166, 0.833, 0.332], [0.167, 0.333, 0.333], [0.500, 0.000, 0.000], [0.500, 0.500, 0.000], [0.670, 0.576, 0.339]],
  "ef_kj_per_mol_fu": -778,
  "spacegroup": "C2/m"
}

---

(4)
{
  "formula": "MnAsPt3",
  "functional": "PBE",
  "state": "optimized geometry",
  "lattice_angstrom": [[4.657, 0.000, 0.000], [0.000, 4.657, 0.000], [0.000, 0.000, 4.657]],
  "species": ["As", "Pt", "Mn", "Pt", "Pt"],
  "frac_coords": [[0.000, 0.000, 0.000], [0.000, 0.500, 0.000], [0.500, 0.500, 0.500], [0.500, 0.000, 0.000], [0.000, 0.000, 0.500]],
  "de_polymorph_mev_per_atom": 0,
  "ef_kj_per_mol_fu": 210,
  "spacegroup": "Pm-3m"
}

---

(5)
{
  "formula": "CuIr2Br",
  "functional": "PBE",
  "state": "optimized geometry",
  "lattice_angstrom": [[-0.058, -2.532, 0.882], [3.494, -0.564, -1.391], [3.148, 2.351, 6.953]],
  "species": ["Ir", "Ir", "Br", "Cu"],
  "frac_coords": [[0.000, 0.000, 0.009], [0.500, 0.500, 0.136], [0.000, 0.000, 0.548], [0.500, 0.500, 0.807]],
  "raw_formation_energy_ev_per_fu": 2.3,
  "de_polymorph_mev_per_atom": 118,
  "spacegroup": "Pmm2"
}

---

(6)
{
  "formula": "AcLa3Pt8",
  "functional": "PBE",
  "state": "optimized geometry",
  "lattice_angstrom": [[-3.828, 4.008, -0.590], [0.157, -3.038, 4.671], [5.810, 6.105, 3.775]],
'''

Outcome:
Entry 1:
The following is a PBE calculation of a relaxed NaSr2Zn crystal, from Alexandria.

```
4
Lattice="3.943 0.000 0.000 0.000 3.943 0.000 0.000 0.000 9.622" Properties=species:S:1:pos:R:3 pbc="T T T"
Sr 0.000 0.000 7.710
Sr 0.000 0.000 1.912
Zn 1.971 1.971 0.000
Na 1.971 1.971 4.811
```

- volume (Å³/f.u.) = 149.57
- calculated total energy (eV/atom) = -1.5850
- formation energy (eV per atom) = -0.10
- SG = No. 123

Entry 2:
The following is a PBE calculation of a relaxed Na2SrZn2 crystal, from Alexandria.

```
5
Lattice="-3.691 2.089 1.736 -1.829 0.254 -4.194 -5.795 -4.983 -0.277" Properties=species:S:1:pos:R:3 pbc="T T T"
Sr 0.000 0.000 0.000
Zn -3.314 0.047 -1.055
Zn -8.001 -2.688 -1.679
Na -6.123 -0.862 0.115
Na -5.192 -1.779 -2.850
```

- volume (Å³/f.u.) = 145.47
- calculated total energy (eV/atom) = -1.4081
- formation energy (eV per atom) = -0.03
- SG = No. 139

Entry 3:
The following is a PBE calculation of a relaxed NaSrZn crystal, from Alexandria.

```
6
Lattice="4.403 -0.024 0.015 2.180 3.812 0.008 -0.184 -0.035 13.462" Properties=species:S:1:pos:R:3 pbc="T T T"
Na 3.240 0.608 5.422
Na 3.159 3.145 8.064
Sr 5.316 1.848 11.313
Sr 1.083 1.905 2.172
Zn 3.301 0.620 0.027
Zn 3.097 3.133 13.459